**Request**
Please give back everything underneath exactly.
**File**
# CoF, optimized geometry, DFT PBE with a Hubbard U
# - crystal system = orthorhombic
# - VASP energy (eV for the cell shown) = -139.78
data_CoF
_chemical_formula_sum 'Co16 F16'
_space_group_name_H-M_alt 'F d d d'
_space_group_IT_number 70
_cell_length_a 2.9628
_cell_length_b 10.2828
_cell_length_c 13.1699
_cell_angle_alpha 90.00
_cell_angle_beta 90.00
_cell_angle_gamma 90.00
loop_
_space_group_symop_operation_xyz
'x,y,z'
'-x,-y,-z'
'-x+1/4,-y+1/4,z'
'x+1/4,y+1/4,-z'
'x,-y+1/4,-z+1/4'
'-x,y+1/4,z+1/4'
'-x+1/4,y,-z+1/4'
'x+1/4,-y,z+1/4'
'x,y+1/2,z+1/2'
'-x,-y+1/2,-z+1/2'
'-x+1/4,-y+3/4,z+1/2'
'x+1/4,y+3/4,-z+1/2'
'x,-y+3/4,-z+3/4'
'-x,y+3/4,z+3/4'
'-x+1/4,y+1/2,-z+3/4'
'x+1/4,-y+1/2,z+3/4'
'x+1/2,y,z+1/2'
'-x+1/2,-y,-z+1/2'
'-x+3/4,-y+1/4,z+1/2'
'x+3/4,y+1/4,-z+1/2'
'x+1/2,-y+1/4,-z+3/4'
'-x+1/2,y+1/4,z+3/4'
'-x+3/4,y,-z+3/4'
'x+3/4,-y,z+3/4'
'x+1/2,y+1/2,z'
'-x+1/2,-y+1/2,-z'
'-x+3/4,-y+3/4,z'
'x+3/4,y+3/4,-z'
'x+1/2,-y+3/4,-z+1/4'
'-x+1/2,y+3/4,z+1/4'
'-x+3/4,y+1/2,-z+1/4'
'x+3/4,-y+1/2,z+1/4'
loop_
_atom_site_label
_atom_site_type_symbol
_atom_site_fract_x
_atom_site_fract_y
_atom_site_fract_z
Co1 Co 0.1250 0.2809 0.1250
F1 F 0.1250 0.1250 0.0227

=====

# CoF, optimized geometry, DFT PBE with a Hubbard U
# - crystal system = cubic
# - VASP energy (eV for the cell shown) = -34.70
data_CoF
_chemical_formula_sum 'Co4 F4'
_space_group_name_H-M_alt 'F m -3 m'
_space_group_IT_number 225
_space_group_name_Hall '-F 4 2 3'
_cell_length_a 4.5519
_cell_length_b 4.5519
_cell_length_c 4.5519
_cell_angle_alpha 90.00
_cell_angle_beta 90.00
_cell_angle_gamma 90.00
loop_
_atom_site_label
_atom_site_type_symbol
_atom_site_fract_x
_atom_site_fract_y
_atom_site_fract_z
Co1 Co 0.0000 0.0000 0.0000
F1 F 0.0000 0.0000 0.5000

=====

# CoF2, optimized geometry, DFT PBE with a Hubbard U
# - crystal system = orthorhombic
# - VASP energy (eV for the cell shown) = -60.62
data_CoF2
_chemical_formula_sum 'Co4 F8'
_space_group_name_H-M_alt 'P n m a'
_space_group_IT_number 62
_cell_length_a 10.1828
_cell_length_b 3.1991
_cell_length_c 4.8250
_cell_angle_alpha 90.00
_cell_angle_beta 90.00
_cell_angle_gamma 90.00
loop_
_space_group_symop_operation_xyz
'x,y,z'
'-x,-y,-z'
'-x+1/2,-y,z+1/2'
'x+1/2,y,-z+1/2'
'x+1/2,-y+1/2,-z+1/2'
'-x+1/2,y+1/2,z+1/2'
'-x,y+1/2,-z'
'x,-y+1/2,z'
loop_
_atom_site_label
_atom_site_type_symbol
_atom_site_fract_x
_atom_site_fract_y
_atom_site_fract_z
Co1 Co 0.1347 0.2500 0.0267
F1 F 0.0362 0.7500 0.2052
F2 F 0.2240 0.7500 0.8269

=====

# CoF, optimized geometry, DFT PBE with a Hubbard U
# - crystal system = cubic
# - VASP energy (eV for the cell shown) = -49.67
data_CoF
_chemical_formula_sum 'Co6 F6'
_space_group_name_H-M_alt 'P m -3 n'
_space_group_IT_number 223
_space_group_name_Hall '-P 4n 2 3'
_cell_length_a 6.0388
_cell_length_b 6.0388
_cell_length_c 6.0388
_cell_angle_alpha 90.00
_cell_angle_beta 90.00
_cell_angle_gamma 90.00
loop_
_atom_site_label
_atom_site_type_symbol
_atom_site_fract_x
_atom_site_fract_y
_atom_site_fract_z
Co1 Co 0.0000 0.2500 0.5000
F1 F 0.0000 0.5000 0.2500

=====

# CoF, optimized geometry, DFT PBE with a Hubbard U
# - crystal system = cubic
# - VASP energy (eV for the cell shown) = -34.07
data_CoF
_chemical_formula_sum 'Co4 F4'
_space_group_name_H-M_alt 'F -4 3 m'
_space_group_IT_number 216
_space_group_name_Hall 'F -4 2 3'
_cell_length_a 4.8316
_cell_length_b 4.8316
_cell_length_c 4.8316
_cell_angle_alpha 90.00
_cell_angle_beta 90.00
_cell_angle_gamma 90.00
loop_
_atom_site_label
_atom_site_type_symbol
_atom_site_fract_x
_atom_site_fract_y
_atom_site_fract_z
Co1 Co 0.0000 0.0000 0.0000
F1 F 0.2500 0.2500 0.2500

=====

# CoF, optimized geometry, DFT PBE with a Hubbard U
# - crystal system = hexagonal
# - VASP energy (eV for the cell shown) = -17.49
data_CoF
_chemical_formula_sum 'Co2 F2'
_space_group_name_H-M_alt 'P 63 m c'
_space_group_IT_number 186
_space_group_name_Hall 'P 6c -2c'
_cell_length_a 2.8909
_cell_length_b 2.8909
_cell_length_c 6.8749
_cell_angle_alpha 90.00
_cell_angle_beta 90.00
**Here it is**
# CoF, optimized geometry, DFT PBE with a Hubbard U
# - crystal system = orthorhombic
# - VASP energy (eV for the cell shown) = -139.78
data_CoF
_chemical_formula_sum 'Co16 F16'
_space_group_name_H-M_alt 'F d d d'
_space_group_IT_number 70
_cell_length_a 2.9628
_cell_length_b 10.2828
_cell_length_c 13.1699
_cell_angle_alpha 90.00
_cell_angle_beta 90.00
_cell_angle_gamma 90.00
loop_
_space_group_symop_operation_xyz
'x,y,z'
'-x,-y,-z'
'-x+1/4,-y+1/4,z'
'x+1/4,y+1/4,-z'
'x,-y+1/4,-z+1/4'
'-x,y+1/4,z+1/4'
'-x+1/4,y,-z+1/4'
'x+1/4,-y,z+1/4'
'x,y+1/2,z+1/2'
'-x,-y+1/2,-z+1/2'
'-x+1/4,-y+3/4,z+1/2'
'x+1/4,y+3/4,-z+1/2'
'x,-y+3/4,-z+3/4'
'-x,y+3/4,z+3/4'
'-x+1/4,y+1/2,-z+3/4'
'x+1/4,-y+1/2,z+3/4'
'x+1/2,y,z+1/2'
'-x+1/2,-y,-z+1/2'
'-x+3/4,-y+1/4,z+1/2'
'x+3/4,y+1/4,-z+1/2'
'x+1/2,-y+1/4,-z+3/4'
'-x+1/2,y+1/4,z+3/4'
'-x+3/4,y,-z+3/4'
'x+3/4,-y,z+3/4'
'x+1/2,y+1/2,z'
'-x+1/2,-y+1/2,-z'
'-x+3/4,-y+3/4,z'
'x+3/4,y+3/4,-z'
'x+1/2,-y+3/4,-z+1/4'
'-x+1/2,y+3/4,z+1/4'
'-x+3/4,y+1/2,-z+1/4'
'x+3/4,-y+1/2,z+1/4'
loop_
_atom_site_label
_atom_site_type_symbol
_atom_site_fract_x
_atom_site_fract_y
_atom_site_fract_z
Co1 Co 0.1250 0.2809 0.1250
F1 F 0.1250 0.1250 0.0227

=====

# CoF, optimized geometry, DFT PBE with a Hubbard U
# - crystal system = cubic
# - VASP energy (eV for the cell shown) = -34.70
data_CoF
_chemical_formula_sum 'Co4 F4'
_space_group_name_H-M_alt 'F m -3 m'
_space_group_IT_number 225
_space_group_name_Hall '-F 4 2 3'
_cell_length_a 4.5519
_cell_length_b 4.5519
_cell_length_c 4.5519
_cell_angle_alpha 90.00
_cell_angle_beta 90.00
_cell_angle_gamma 90.00
loop_
_atom_site_label
_atom_site_type_symbol
_atom_site_fract_x
_atom_site_fract_y
_atom_site_fract_z
Co1 Co 0.0000 0.0000 0.0000
F1 F 0.0000 0.0000 0.5000

=====

# CoF2, optimized geometry, DFT PBE with a Hubbard U
# - crystal system = orthorhombic
# - VASP energy (eV for the cell shown) = -60.62
data_CoF2
_chemical_formula_sum 'Co4 F8'
_space_group_name_H-M_alt 'P n m a'
_space_group_IT_number 62
_cell_length_a 10.1828
_cell_length_b 3.1991
_cell_length_c 4.8250
_cell_angle_alpha 90.00
_cell_angle_beta 90.00
_cell_angle_gamma 90.00
loop_
_space_group_symop_operation_xyz
'x,y,z'
'-x,-y,-z'
'-x+1/2,-y,z+1/2'
'x+1/2,y,-z+1/2'
'x+1/2,-y+1/2,-z+1/2'
'-x+1/2,y+1/2,z+1/2'
'-x,y+1/2,-z'
'x,-y+1/2,z'
loop_
_atom_site_label
_atom_site_type_symbol
_atom_site_fract_x
_atom_site_fract_y
_atom_site_fract_z
Co1 Co 0.1347 0.2500 0.0267
F1 F 0.0362 0.7500 0.2052
F2 F 0.2240 0.7500 0.8269

=====

# CoF, optimized geometry, DFT PBE with a Hubbard U
# - crystal system = cubic
# - VASP energy (eV for the cell shown) = -49.67
data_CoF
_chemical_formula_sum 'Co6 F6'
_space_group_name_H-M_alt 'P m -3 n'
_space_group_IT_number 223
_space_group_name_Hall '-P 4n 2 3'
_cell_length_a 6.0388
_cell_length_b 6.0388
_cell_length_c 6.0388
_cell_angle_alpha 90.00
_cell_angle_beta 90.00
_cell_angle_gamma 90.00
loop_
_atom_site_label
_atom_site_type_symbol
_atom_site_fract_x
_atom_site_fract_y
_atom_site_fract_z
Co1 Co 0.0000 0.2500 0.5000
F1 F 0.0000 0.5000 0.2500

=====

# CoF, optimized geometry, DFT PBE with a Hubbard U
# - crystal system = cubic
# - VASP energy (eV for the cell shown) = -34.07
data_CoF
_chemical_formula_sum 'Co4 F4'
_space_group_name_H-M_alt 'F -4 3 m'
_space_group_IT_number 216
_space_group_name_Hall 'F -4 2 3'
_cell_length_a 4.8316
_cell_length_b 4.8316
_cell_length_c 4.8316
_cell_angle_alpha 90.00
_cell_angle_beta 90.00
_cell_angle_gamma 90.00
loop_
_atom_site_label
_atom_site_type_symbol
_atom_site_fract_x
_atom_site_fract_y
_atom_site_fract_z
Co1 Co 0.0000 0.0000 0.0000
F1 F 0.2500 0.2500 0.2500

=====

# CoF, optimized geometry, DFT PBE with a Hubbard U
# - crystal system = hexagonal
# - VASP energy (eV for the cell shown) = -17.49
data_CoF
_chemical_formula_sum 'Co2 F2'
_space_group_name_H-M_alt 'P 63 m c'
_space_group_IT_number 186
_space_group_name_Hall 'P 6c -2c'
_cell_length_a 2.8909
_cell_length_b 2.8909
_cell_length_c 6.8749
_cell_angle_alpha 90.00
_cell_angle_beta 90.00